Floquet Formalism¶
Many time-dependent problems of interest are periodic. The dynamics of such systems can be solved for directly by numerical integration of the Schrödinger or Master equation, using the time-dependent Hamiltonian. But they can also be transformed into time-independent problems using the Floquet formalism. Time-independent problems can be solve much more efficiently, so such a transformation is often very desirable.
In the standard derivations of the Lindblad and Bloch-Redfield master equations the Hamiltonian describing the system under consideration is assumed to be time independent. Thus, strictly speaking, the standard forms of these master equation formalisms should not blindly be applied to system with time-dependent Hamiltonians. However, in many relevant cases, in particular for weak driving, the standard master equations still turns out to be useful for many time-dependent problems. But a more rigorous approach would be to rederive the master equation taking the time-dependent nature of the Hamiltonian into account from the start. The Floquet-Markov Master equation is one such a formalism, with important applications for strongly driven systems (see e.g., [Gri98]).
Here we give an overview of how the Floquet and Floquet-Markov formalisms can be used for solving time-dependent problems in QuTiP. To introduce the terminology and naming conventions used in QuTiP we first give a brief summary of quantum Floquet theory.
Floquet theory for unitary evolution¶
The Schrödinger equation with a time-dependent Hamiltonian \(H(t)\) is
where \(\Psi(t)\) is the wave function solution. Here we are interested in problems with periodic time-dependence, i.e., the Hamiltonian satisfies \(H(t) = H(t+T)\) where \(T\) is the period. According to the Floquet theorem, there exist solutions to (1) of the form
where \(\Psi_\alpha(t)\) are the Floquet states (i.e., the set of wave function solutions to the Schrödinger equation), \(\Phi_\alpha(t)=\Phi_\alpha(t+T)\) are the periodic Floquet modes, and \(\epsilon_\alpha\) are the quasienergy levels. The quasienergy levels are constants in time, but only uniquely defined up to multiples of \(2\pi/T\) (i.e., unique value in the interval \([0, 2\pi/T]\)).
If we know the Floquet modes (for \(t \in [0,T]\)) and the quasienergies for a particular \(H(t)\), we can easily decompose any initial wavefunction \(\Psi(t=0)\) in the Floquet states and immediately obtain the solution for arbitrary \(t\)
where the coefficients \(c_\alpha\) are determined by the initial wavefunction \(\Psi(0) = \sum_\alpha c_\alpha \Psi_\alpha(0)\).
This formalism is useful for finding \(\Psi(t)\) for a given \(H(t)\) only if we can obtain the Floquet modes \(\Phi_a(t)\) and quasienergies \(\epsilon_\alpha\) more easily than directly solving (1). By substituting (2) into the Schrödinger equation (1) we obtain an eigenvalue equation for the Floquet modes and quasienergies
where \(\mathcal{H}(t) = H(t) - i\hbar\partial_t\). This eigenvalue problem could be solved analytically or numerically, but in QuTiP we use an alternative approach for numerically finding the Floquet states and quasienergies [see e.g. Creffield et al., Phys. Rev. B 67, 165301 (2003)]. Consider the propagator for the time-dependent Schrödinger equation (1), which by definition satisfies
Inserting the Floquet states from (2) into this expression results in
or, since \(\Phi_\alpha(T+t)=\Phi_\alpha(t)\),
which shows that the Floquet modes are eigenstates of the one-period propagator. We can therefore find the Floquet modes and quasienergies \(\epsilon_\alpha = -\hbar\arg(\eta_\alpha)/T\) by numerically calculating \(U(T+t,t)\) and diagonalizing it. In particular this method is useful to find \(\Phi_\alpha(0)\) by calculating and diagonalize \(U(T,0)\).
The Floquet modes at arbitrary time \(t\) can then be found by propagating \(\Phi_\alpha(0)\) to \(\Phi_\alpha(t)\) using the wave function propagator \(U(t,0)\Psi_\alpha(0) = \Psi_\alpha(t)\), which for the Floquet modes yields
so that \(\Phi_\alpha(t) = \exp(i\epsilon_\alpha t/\hbar) U(t,0)\Phi_\alpha(0)\). Since \(\Phi_\alpha(t)\) is periodic we only need to evaluate it for \(t \in [0, T]\), and from \(\Phi_\alpha(t \in [0,T])\) we can directly evaluate \(\Phi_\alpha(t)\), \(\Psi_\alpha(t)\) and \(\Psi(t)\) for arbitrary large \(t\).
Floquet formalism in QuTiP¶
QuTiP provides a family of functions to calculate the Floquet modes and quasi energies, Floquet state decomposition, etc., given a time-dependent Hamiltonian on the callback format, list-string format and list-callback format (see, e.g., qutip.mesolve
for details).
Consider for example the case of a strongly driven two-level atom, described by the Hamiltonian
In QuTiP we can define this Hamiltonian as follows:
>>> delta = 0.2 * 2*np.pi
>>> eps0 = 1.0 * 2*np.pi
>>> A = 2.5 * 2*np.pi
>>> omega = 1.0 * 2*np.pi
>>> H0 = - delta/2.0 * sigmax() - eps0/2.0 * sigmaz()
>>> H1 = A/2.0 * sigmaz()
>>> args = {'w': omega}
>>> H = [H0, [H1, 'sin(w * t)']]
Here the article breaks off for calculated molecules
-- begin --
[1]
Computed, not measured: C46H35ClILaN6O2P2S as an isolated structure at a distorted geometry, with the ωB97M-V functional and the def2-TZVPD basis.

## Properties
electronic energy	-112188.425	eV
total charge	+2
ΔE to the lowest compared entry with this formula, charge and spin	82.0	kJ/mol
E_LUMO	-0.2010	Eh
2S+1	1
HOMO energy	-12.55	eV
Kohn-Sham gap	7.0791	eV

Cartesian coordinates (Å):
La1 -0.100 0.223 1.080
O1 -3.432 1.752 -0.592
S1 -2.394 0.772 -0.855
C1 -3.184 -0.734 -1.485
C2 -4.422 -0.677 -2.105
C3 -4.963 -1.825 -2.662
C4 -4.270 -3.024 -2.591
C5 -3.064 -3.092 -1.913
C6 -2.511 -1.946 -1.343
P1 -1.028 -2.086 -0.279
C7 -1.570 -3.372 0.895
C8 -1.587 -4.732 0.594
C9 -2.121 -5.625 1.506
C10 -2.632 -5.173 2.713
C11 -2.589 -3.824 3.027
C12 -2.056 -2.924 2.123
C13 0.203 -2.923 -1.321
C14 1.197 -3.668 -0.686
C15 2.189 -4.273 -1.432
C16 2.200 -4.128 -2.811
C17 1.230 -3.364 -3.442
C18 0.236 -2.751 -2.701
C19 -1.666 1.326 -2.450
C20 -2.385 1.271 -3.633
C21 -1.892 1.876 -4.777
C22 -0.690 2.567 -4.736
C23 0.035 2.623 -3.561
C24 -0.445 1.996 -2.410
P2 0.577 2.084 -0.903
C25 2.173 1.586 -1.649
C26 2.268 0.224 -1.947
C27 3.399 -0.278 -2.564
C28 4.445 0.577 -2.885
C29 4.360 1.924 -2.578
C30 3.230 2.433 -1.956
C31 0.642 3.856 -0.526
C32 1.645 4.303 0.334
C33 1.673 5.626 0.736
C34 0.686 6.500 0.305
C35 -0.322 6.054 -0.532
C36 -0.353 4.733 -0.950
H1 -4.956 0.262 -2.125
H2 -5.924 -1.784 -3.153
H3 -4.682 -3.914 -3.040
H4 -2.554 -4.039 -1.823
H5 -1.174 -5.097 -0.336
H6 -2.139 -6.678 1.273
H7 -3.057 -5.876 3.412
H8 -2.976 -3.477 3.972
H9 -2.025 -1.861 2.353
H10 1.164 -3.789 0.391
H11 2.950 -4.862 -0.941
H12 2.967 -4.613 -3.394
H13 1.252 -3.247 -4.514
H14 -0.521 -2.150 -3.188
H15 -3.341 0.771 -3.660
H16 -2.456 1.817 -5.696
H17 -0.324 3.068 -5.618
H18 0.972 3.161 -3.522
H19 1.428 -0.432 -1.715
H20 3.460 -1.330 -2.800
H21 5.325 0.198 -3.382
H22 5.174 2.585 -2.834
H23 3.167 3.487 -1.725
H24 2.401 3.605 0.672
H25 2.456 5.974 1.390
H26 0.697 7.527 0.638
H27 -1.093 6.735 -0.856
H28 -1.149 4.386 -1.593
Cl1 -1.297 2.333 7.768
C37 -1.401 1.829 6.127
C38 -2.564 1.253 5.667
C39 -2.667 0.816 4.350
I1 -4.427 -0.052 3.613
C40 -1.611 0.923 3.447
O2 -1.713 0.515 2.216
C41 -0.396 1.511 3.925
N1 0.638 1.582 3.036
C42 1.754 2.169 3.429
C43 1.939 2.706 4.707
C44 0.921 2.612 5.626
C45 -0.290 1.996 5.259
H29 -3.406 1.136 6.332
H30 2.554 2.227 2.698
H31 2.874 3.182 4.953
H32 1.029 3.011 6.623
N2 4.665 -1.131 0.435
N3 3.587 -1.382 1.172
N4 3.542 -2.379 2.004
C46 2.300 -2.335 2.457
N5 1.620 -1.335 1.902
N6 2.461 -0.723 1.080
H33 5.524 -1.528 0.793
H34 4.704 -0.227 -0.016
H35 1.902 -3.026 3.172



[2]
Computed, not measured: a 4-piece molecular cluster, C46H35NO9PS overall at a distorted geometry, with the ωB97M-V functional and the def2-TZVPD basis.

## Properties
electronic energy	-88307.396	eV
total charge	+1
ΔE to the lowest compared entry with this formula, charge and spin	0.0	kJ/mol
E_LUMO	-0.1657	Eh
2S+1	1
HOMO energy	-11.41	eV
Kohn-Sham gap	6.8981	eV

Cartesian coordinates (Å):
-- stop --

The \(t=0\) Floquet modes corresponding to the Hamiltonian (5) can then be calculated using the qutip.floquet.floquet_modes
function, which returns lists containing the Floquet modes and the quasienergies
>>> T = 2*np.pi / omega
>>> f_modes_0, f_energies = floquet_modes(H, T, args)
>>> f_energies
array([-2.83131212, 2.83131212])
>>> f_modes_0
[Quantum object: dims = [[2], [1]], shape = (2, 1), type = ket
Qobj data =
[[ 0.72964231+0.j ]
Quantum object: dims = [[2], [1]], shape = (2, 1), type = ket
Qobj data =
[0.72964231+0.j ]]]

For some problems interesting observations can be draw from the quasienergy levels alone. Consider for example the quasienergies for the driven two-level system introduced above as a function of the driving amplitude, calculated and plotted in the following example. For certain driving amplitudes the quasienergy levels cross. Since the quasienergies can be associated with the time-scale of the long-term dynamics due that the driving, degenerate quasienergies indicates a “freezing” of the dynamics (sometimes known as coherent destruction of tunneling).
>>> delta = 0.2 * 2*np.pi
>>> eps0 = 0.0 * 2*np.pi
>>> omega = 1.0 * 2*np.pi
>>> A_vec = np.linspace(0, 10, 100) * omega
>>> T = (2*np.pi)/omega
>>> tlist = np.linspace(0.0, 10 * T, 101)
>>> spsi0 = basis(2,0)
>>> q_energies = np.zeros((len(A_vec), 2))
>>> H0 = delta/2.0 * sigmaz() - eps0/2.0 * sigmax()
>>> args = {'w': omega}
>>> for idx, A in enumerate(A_vec):
>>> H1 = A/2.0 * sigmax()
>>> H = [H0, [H1, lambda t, args: np.sin(args['w']*t)]]
>>> f_modes, f_energies = floquet_modes(H, T, args, True)
>>> q_energies[idx,:] = f_energies
>>> plt.figure()
>>> plt.plot(A_vec/omega, q_energies[:,0] / delta, 'b', A_vec/omega, q_energies[:,1] / delta, 'r')
>>> plt.xlabel(r'$A/\omega$')
>>> plt.ylabel(r'Quasienergy / $\Delta$')
>>> plt.title(r'Floquet quasienergies')
## Unrelated to this entry: calculated molecules
........
Record 1
76
Properties=species:S:1:pos:R:3 method="wB97M-V/def2-TZVPD" lumo_ev="-4.02 / -3.95" e_above_lowest_kj_mol=210.5 total_charge=+1 orbital_gap_ev="5.797 / 5.897"
C -1.13502 1.32629 0.26346
C -0.45403 1.55315 -0.97281
C -1.40968 2.02974 -1.91485
H 0.62000 1.49768 -1.13687
C -2.68215 2.09734 -1.27285
C -2.50043 1.69571 0.08281
H -3.25259 1.77643 0.87047
H -0.66688 1.04507 1.20874
H -1.17241 2.39080 -2.91465
H -3.61414 2.44460 -1.71759
Sc -2.09127 -0.36611 -1.24352
Si 1.75523 -3.16249 -3.46746
C 2.96051 -2.77669 -4.82166
C 3.16072 -3.69427 -5.86475
H 2.58201 -4.62040 -5.88855
C 4.09207 -3.42281 -6.86851
H 4.24328 -4.14359 -7.67440
C 4.81812 -2.23121 -6.85298
H 5.55176 -2.03149 -7.63170
C 4.61504 -1.30596 -5.82925
H 5.18062 -0.37494 -5.81286
C 3.68416 -1.57473 -4.81986
H 3.53788 -0.84775 -4.01575
C 0.27608 -2.02816 -3.65690
C 0.39656 -0.65854 -3.87344
H 1.37889 -0.17027 -3.90728
C -0.78150 0.09313 -4.16846
H -0.67131 1.09293 -4.58630
C -2.03121 -0.26781 -3.50667
H -2.89226 0.41339 -3.49839
C -2.17101 -1.73517 -3.29399
H -3.12705 -2.18245 -3.00964
C -1.06841 -2.55018 -3.71700
H -1.19743 -3.62484 -3.83539
H 2.44542 -2.83174 -2.19431
Si -1.84619 -1.23493 -5.08436
C -3.45308 -0.97597 -6.05383
C -3.40106 -0.41186 -7.33206
H -2.46268 -0.00326 -7.71514
C -4.54756 -0.40067 -8.13440
H -4.49094 0.01296 -9.14048
C -5.74943 -0.92831 -7.64827
H -6.63402 -0.95837 -8.28483
C -5.81174 -1.42251 -6.33858
H -6.74407 -1.82090 -5.94159
C -4.66804 -1.41500 -5.52839
H -4.73362 -1.76523 -4.49386
C -0.77087 -1.89878 -6.55052
C 0.23519 -1.16170 -7.16708
H 0.43436 -0.12407 -6.88578
C 1.02439 -1.74261 -8.16456
H 1.83128 -1.17348 -8.62916
C 0.79272 -3.06645 -8.54890
H 1.41479 -3.52422 -9.32142
C -0.21937 -3.80489 -7.93534
H -0.39977 -4.84200 -8.22512
C -0.99946 -3.22360 -6.93145
H -1.78569 -3.81606 -6.45667
H 1.51286 -4.55972 -3.43683
Cl -4.41106 -0.65218 -1.37048
C 1.00816 -1.14474 -0.39151
O -0.39915 -1.50100 -0.38727
C -0.73493 -2.63647 0.47397
C -1.77616 -2.26185 1.51594
O -2.50834 -1.11228 1.08176
C -3.54993 -0.76656 2.00639
H 1.60845 -2.05008 -0.26382
H 1.21198 -0.44461 0.42621
H 1.24891 -0.68477 -1.35885
H -1.11897 -3.44273 -0.17157
H 0.16847 -2.96633 0.99819
H -2.47807 -3.09794 1.65274
H -1.27925 -2.05818 2.48199
H -4.02130 -1.67481 2.40906
H -3.15099 -0.17117 2.84282
H -4.28938 -0.19251 1.44973

---

Record 2
85
Properties=species:S:1:pos:R:3 method="wB97M-V/def2-TZVPD" lumo_ev=1.38 e_above_lowest_kj_mol=86.4 total_charge=-1 orbital_gap_ev=5.253
Cu -2.10824 -1.15624 0.65786
I -6.88642 -1.75069 2.99594
C -6.32749 -0.93314 1.15446
C -7.27019 -0.25399 0.38201
C -6.92072 0.31460 -0.81786
I -8.41254 1.31242 -1.91270
C -5.59248 0.22387 -1.30336
C -5.11689 0.79367 -2.50852
C -3.81326 0.62450 -2.88279
C -2.95049 -0.11766 -2.05827
N -3.35346 -0.63558 -0.92329
C -4.64196 -0.48201 -0.52153
C -4.97370 -1.09237 0.77658
O -4.09202 -1.68138 1.45306
H -8.28975 -0.17690 0.73789
H -5.79608 1.36390 -3.12933
H -3.43674 1.05876 -3.80209
H -1.91051 -0.30248 -2.31749
........
## Back to the entry
>>> plt.show()

Given the Floquet modes at \(t=0\), we obtain the Floquet mode at some later time \(t\) using the function qutip.floquet.floquet_modes_t
>>> f_modes_t = floquet_modes_t(f_modes_0, f_energies, 2.5, H, T, args)
>>> f_modes_t
[Quantum object: dims = [[2], [1]], shape = (2, 1), type = ket
Qobj data =
[ 0.37793106-0.00431336j]],
Quantum object: dims = [[2], [1]], shape = (2, 1), type = ket
Qobj data =
The purpose of calculating the Floquet modes is to find the wavefunction solution to the original problem (5) given some initial state \(\left|\psi_0\right>\). To do that, we first need to decompose the initial state in the Floquet states, using the function qutip.floquet.floquet_state_decomposition
>>> psi0 = rand_ket(2)
>>> f_coeff = floquet_state_decomposition(f_modes_0, f_energies, psi0)
>>> f_coeff
and given this decomposition of the initial state in the Floquet states we can easily evaluate the wavefunction that is the solution to (5) at an arbitrary time \(t\) using the function qutip.floquet.floquet_wavefunction_t
>>> t = 10 * np.random.rand()
>>> psi_t = floquet_wavefunction_t(f_modes_0, f_energies, f_coeff, t, H, T, args)
The following example illustrates how to use the functions introduced above to calculate and plot the time-evolution of (5).
import numpy as np
from matplotlib import pyplot
import qutip
delta = 0.2 * 2*np.pi
eps0 = 1.0 * 2*np.pi
A = 0.5 * 2*np.pi
omega = 1.0 * 2*np.pi
T = (2*np.pi)/omega
tlist = np.linspace(0.0, 10 * T, 101)
psi0 = qutip.basis(2, 0)
H0 = - delta/2.0 * qutip.sigmax() - eps0/2.0 * qutip.sigmaz()
H1 = A/2.0 * qutip.sigmaz()
args = {'w': omega}
H = [H0, [H1, lambda t,args: np.sin(args['w'] * t)]]
# find the floquet modes for the time-dependent hamiltonian
f_modes_0,f_energies = qutip.floquet_modes(H, T, args)
# decompose the inital state in the floquet modes
f_coeff = qutip.floquet_state_decomposition(f_modes_0, f_energies, psi0)
# calculate the wavefunctions using the from the floquet modes
p_ex = np.zeros(len(tlist))
for n, t in enumerate(tlist):
psi_t = qutip.floquet_wavefunction_t(f_modes_0, f_energies, f_coeff, t, H, T, args)
p_ex[n] = qutip.expect(qutip.num(2), psi_t)
# For reference: calculate the same thing with mesolve
p_ex_ref = qutip.mesolve(H, psi0, tlist, [], [qutip.num(2)], args).expect[0]
# plot the results
pyplot.plot(tlist, np.real(p_ex), 'ro', tlist, 1-np.real(p_ex), 'bo')
pyplot.plot(tlist, np.real(p_ex_ref), 'r', tlist, 1-np.real(p_ex_ref), 'b')
pyplot.ylabel('Occupation probability')
pyplot.legend(("Floquet $P_1$", "Floquet $P_0$", "Lindblad $P_1$", "Lindblad $P_0$"))
Pre-computing the Floquet modes for one period¶
When evaluating the Floquet states or the wavefunction at many points in time it is useful to pre-compute the Floquet modes for the first period of the driving with the required resolution. In QuTiP the function qutip.floquet.floquet_modes_table
calculates a table of Floquet modes which later can be used together with the function qutip.floquet.floquet_modes_t_lookup
to efficiently lookup the Floquet mode at an arbitrary time. The following example illustrates how the example from the previous section can be solved more efficiently using these functions for pre-computing the Floquet modes.
import numpy as np
from matplotlib import pyplot
import qutip
delta = 0.0 * 2*np.pi
eps0 = 1.0 * 2*np.pi
A = 0.25 * 2*np.pi
omega = 1.0 * 2*np.pi
T = 2*np.pi / omega
tlist = np.linspace(0.0, 10 * T, 101)
psi0 = qutip.basis(2,0)
H0 = - delta/2.0 * qutip.sigmax() - eps0/2.0 * qutip.sigmaz()
H1 = A/2.0 * qutip.sigmax()
args = {'w': omega}
H = [H0, [H1, lambda t, args: np.sin(args['w'] * t)]]
# find the floquet modes for the time-dependent hamiltonian
f_modes_0,f_energies = qutip.floquet_modes(H, T, args)
# decompose the inital state in the floquet modes
f_coeff = qutip.floquet_state_decomposition(f_modes_0, f_energies, psi0)
# calculate the wavefunctions using the from the floquet modes
f_modes_table_t = qutip.floquet_modes_table(f_modes_0, f_energies, tlist, H, T, args)
p_ex = np.zeros(len(tlist))
for n, t in enumerate(tlist):
f_modes_t = qutip.floquet_modes_t_lookup(f_modes_table_t, t, T)
psi_t = qutip.floquet_wavefunction(f_modes_t, f_energies, f_coeff, t)
p_ex[n] = qutip.expect(qutip.num(2), psi_t)
# For reference: calculate the same thing with mesolve
p_ex_ref = qutip.mesolve(H, psi0, tlist, [], [qutip.num(2)], args).expect[0]
# plot the results
pyplot.plot(tlist, np.real(p_ex), 'ro', tlist, 1-np.real(p_ex), 'bo')
pyplot.plot(tlist, np.real(p_ex_ref), 'r', tlist, 1-np.real(p_ex_ref), 'b')
pyplot.ylabel('Occupation probability')
pyplot.legend(("Floquet $P_1$", "Floquet $P_0$", "Lindblad $P_1$", "Lindblad $P_0$"))
Note that the parameters and the Hamiltonian used in this example is not the same as in the previous section, and hence the different appearance of the resulting figure.
For convenience, all the steps described above for calculating the evolution of a quantum system using the Floquet formalisms are encapsulated in the function qutip.floquet.fsesolve
. Using this function, we could have achieved the same results as in the examples above using
output = fsesolve(H, psi0=psi0, tlist=tlist, e_ops=[qutip.num(2)], args=args)
p_ex = output.expect[0]
Floquet theory for dissipative evolution¶
A driven system that is interacting with its environment is not necessarily well described by the standard Lindblad master equation, since its dissipation process could be time-dependent due to the driving. In such cases a rigorious approach would be to take the driving into account when deriving the master equation. This can be done in many different ways, but one way common approach is to derive the master equation in the Floquet basis. That approach results in the so-called Floquet-Markov master equation, see Grifoni et al., Physics Reports 304, 299 (1998) for details.
For a brief summary of the derivation, the important contents for the implementation in QuTiP are listed below.
The floquet mode \(\ket{\phi_\alpha(t)}\) refers to a full class of quasienergies defined by \(\epsilon_\alpha + k \Omega\) for arbitrary \(k\). Hence, the quasienenergy difference between two floquet modes is given by
For any coupling operator \(q\) (given by the user) the matrix elements in the floquet basis are calculated as:
From the matrix elements and the spectral density \(J(\omega)\), the decay rate \(\gamma_{\alpha \beta k}\) is defined:
where \(\Theta\) is the Heaviside function. The master equation is further simplified by the RWA, which makes the following matrix useful:
The density matrix of the system then evolves according to:
The Floquet-Markov master equation in QuTiP¶
The QuTiP function qutip.floquet.fmmesolve
implements the Floquet-Markov master equation. It calculates the dynamics of a system given its initial state, a time-dependent Hamiltonian, a list of operators through which the system couples to its environment and a list of corresponding spectral-density functions that describes the environment. In contrast to the qutip.mesolve
and qutip.mcsolve
, and the qutip.floquet.fmmesolve
does characterize the environment with dissipation rates, but extract the strength of the coupling to the environment from the noise spectral-density functions and the instantaneous Hamiltonian parameters (similar to the Bloch-Redfield master equation solver qutip.bloch_redfield.brmesolve
Currently the qutip.floquet.fmmesolve
can only accept a single environment coupling operator and spectral-density function.
The noise spectral-density function of the environment is implemented as a Python callback function that is passed to the solver. For example:
gamma1 = 0.1
def noise_spectrum(omega):
return 0.5 * gamma1 * omega/(2*pi)
The other parameters are similar to the qutip.mesolve
and qutip.mcsolve
, and the same format for the return value is used qutip.solver.Result
. The following example extends the example studied above, and uses qutip.floquet.fmmesolve
to introduce dissipation into the calculation
import numpy as np
from matplotlib import pyplot
import qutip
delta = 0.0 * 2*np.pi
eps0 = 1.0 * 2*np.pi
A = 0.25 * 2*np.pi
omega = 1.0 * 2*np.pi
T = 2*np.pi / omega
tlist = np.linspace(0.0, 20 * T, 101)
psi0 = qutip.basis(2,0)
H0 = - delta/2.0 * qutip.sigmax() - eps0/2.0 * qutip.sigmaz()
H1 = A/2.0 * qutip.sigmax()
args = {'w': omega}
H = [H0, [H1, lambda t,args: np.sin(args['w'] * t)]]
# noise power spectrum
gamma1 = 0.1
def noise_spectrum(omega):
return 0.5 * gamma1 * omega/(2*np.pi)
# find the floquet modes for the time-dependent hamiltonian
f_modes_0, f_energies = qutip.floquet_modes(H, T, args)
# precalculate mode table
f_modes_table_t = qutip.floquet_modes_table(
f_modes_0, f_energies, np.linspace(0, T, 500 + 1), H, T, args,
# solve the floquet-markov master equation
output = qutip.fmmesolve(H, psi0, tlist, [qutip.sigmax()], [], [noise_spectrum], T, args)
# calculate expectation values in the computational basis
p_ex = np.zeros(tlist.shape, dtype=np.complex128)
for idx, t in enumerate(tlist):
f_modes_t = qutip.floquet_modes_t_lookup(f_modes_table_t, t, T)
f_states_t = qutip.floquet_states(f_modes_t, f_energies, t)
p_ex[idx] = qutip.expect(qutip.num(2), output.states[idx].transform(f_states_t, True))
# For reference: calculate the same thing with mesolve
output = qutip.mesolve(H, psi0, tlist,
[np.sqrt(gamma1) * qutip.sigmax()], [qutip.num(2)],
~~~
The following is a DFT calculation (ωB97M-V with the def2-TZVPD basis set) of a molecular structure, C14H30FIInO5S2.

The value obtained for the total energy is -62905.969 eV. The net charge is -1. The calculation puts the energy above the lowest of the compared OMol25 structures with the same formula, charge and spin at 0.0 kJ/mol.

XYZ file:
```
54
Properties=species:S:1:pos:R:3:forces:R:3:mulliken_charge:R:1
C -1.264 -1.301 4.676 -0.1 0.0 0.2 -1.259
C -1.134 -1.177 3.165 0.1 -0.2 -0.3 0.743
F -2.472 -1.344 2.612 0.0 0.0 0.2 -0.390
C -0.538 0.090 2.659 -0.2 0.0 -0.1 -1.101
In 1.596 0.366 3.163 -0.1 0.1 0.3 0.850
I 2.924 -1.282 1.284 0.0 -0.1 -0.2 -0.542
C 2.385 2.404 3.000 0.1 0.1 -0.1 -1.225
C 1.963 3.278 1.806 -0.1 -0.2 0.0 -0.048
C 0.618 2.867 1.235 0.0 0.1 -0.1 -0.006
O 0.291 3.701 0.114 -0.2 0.1 0.1 -0.554
H -0.671 -0.546 5.195 0.0 0.0 -0.1 0.272
H -0.936 -2.277 5.043 -0.1 0.0 -0.1 0.268
H -2.312 -1.171 4.957 0.1 0.0 0.0 0.342
H -0.604 -2.033 2.735 0.0 0.0 0.1 0.214
H -1.101 0.953 3.037 0.0 -0.1 0.0 0.324
H -0.609 0.092 1.566 0.0 0.1 0.1 0.160
H 1.946 -0.324 4.739 0.1 -0.1 0.0 -0.412
H 2.157 2.889 3.957 0.0 0.0 -0.1 0.327
H 3.470 2.264 2.979 0.0 0.1 0.1 0.401
H 2.710 3.173 1.016 -0.1 0.1 0.0 -0.065
H 1.891 4.343 2.058 0.1 -0.1 0.1 0.294
H -0.167 2.934 1.998 0.1 0.0 0.0 0.446
H 0.666 1.820 0.907 0.0 0.1 0.1 -0.235
H -0.668 3.776 0.054 0.2 -0.1 0.0 0.325
C -3.228 -3.785 -0.766 0.0 0.0 0.0 -0.717
C -2.285 -3.841 -1.975 0.0 0.0 0.0 -0.641
C -2.466 -2.532 -2.744 0.0 0.0 0.0 -0.596
S -2.960 -1.296 -1.518 -0.1 -0.1 -0.1 1.065
O -4.307 -0.872 -1.826 0.0 0.0 0.0 -0.719
O -1.924 -0.307 -1.376 0.1 0.0 0.0 -0.498
C -3.012 -2.421 -0.125 0.1 0.1 0.0 -0.448
H -3.019 -4.583 -0.054 0.0 0.0 0.0 0.340
H -4.265 -3.887 -1.093 0.0 0.0 0.0 0.324
H -1.253 -3.928 -1.628 0.0 0.0 0.0 0.306
H -2.493 -4.700 -2.613 0.0 0.0 0.0 0.349
H -1.562 -2.167 -3.226 0.0 0.0 0.0 0.237
H -3.278 -2.584 -3.468 0.0 0.0 0.0 0.354
H -3.802 -2.088 0.544 0.0 0.0 0.0 0.452
H -2.057 -2.352 0.394 0.0 0.0 0.0 0.141
C 1.044 0.480 -3.051 0.0 0.0 0.0 -0.322
C 2.436 0.199 -3.634 0.0 0.0 0.0 -0.774
C 3.229 1.508 -3.575 0.0 0.0 0.0 -0.766
S 2.551 2.435 -2.174 -0.2 -0.2 0.0 1.255
O 1.955 3.643 -2.690 0.1 0.0 -0.1 -0.706
O 3.521 2.490 -1.114 0.3 0.2 0.0 -0.699
C 1.277 1.249 -1.760 0.0 0.1 0.1 0.008
H 0.489 -0.439 -2.862 0.0 0.0 0.0 -0.029
H 0.460 1.089 -3.746 0.0 0.0 0.0 0.371
H 2.934 -0.558 -3.026 0.0 0.0 0.0 0.322
H 2.381 -0.178 -4.656 0.0 0.0 0.0 0.399
H 4.292 1.371 -3.389 0.0 0.0 0.0 0.370
H 3.081 2.130 -4.456 0.0 0.0 0.0 0.327
H 0.432 1.814 -1.376 0.0 0.0 -0.1 0.386
H 1.687 0.614 -0.970 0.0 0.0 0.0 -0.217
```
Positions in Å, forces in eV/Å.

=====

The following is a DFT calculation (ωB97M-V with the def2-TZVPD basis set) of a molecular structure, C24H26As2N3RuSSe.
~~~
p_ex_ref = output.expect[0]
# plot the results
pyplot.plot(tlist, np.real(p_ex), 'r--', tlist, 1-np.real(p_ex), 'b--')
pyplot.plot(tlist, np.real(p_ex_ref), 'r', tlist, 1-np.real(p_ex_ref), 'b')
pyplot.ylabel('Occupation probability')
pyplot.legend(("Floquet $P_1$", "Floquet $P_0$", "Lindblad $P_1$", "Lindblad $P_0$"))
Alternatively, we can let the qutip.floquet.fmmesolve
function transform the density matrix at each time step back to the computational basis, and calculating the expectation values for us, by using:
output = fmmesolve(H, psi0, tlist, [sigmax()], [num(2)], [noise_spectrum], T, args, floquet_basis=False) p_ex = output.expect[0]